**Job**
Give back the calculation results below word for word, please.
**Given**
********
(1)
Density functional theory data (ωB97M-V/def2-TZVPD) for a structure of composition C6H8N2O at a distorted geometry.

The value obtained for the energy relative to the best compared isomer or geometry (same formula, charge and spin) is 357.5 kJ/mol. Its net charge is 0. Its orbital gap is 9.317 eV. The LUMO energy is 0.802 eV. The calculation puts the largest force on an atom at 5.67 eV/A.

Positions of all 17 atoms, in Å:
C -2.80784 -0.33753 0.59455
C -2.69200 -0.13541 -0.81646
C -0.76310 -0.03587 0.19298
C 1.90883 -0.24275 -1.07300
C 1.21018 -0.19485 0.26737
C 1.83181 0.58845 1.36624
N -1.58444 -0.23650 1.15174
N -1.34737 0.01588 -1.03980
O 1.60946 -1.36076 -0.24027
H -3.71830 -0.39574 1.28976
H -3.42360 0.12702 -1.65093
H 1.36486 -0.25958 -2.05202
H 2.95005 0.07360 -1.11022
H 1.64995 0.24927 2.37220
H 1.65776 1.60193 1.19212
H 2.94533 0.49169 1.33473
H -0.79158 0.05116 -1.77898

Atoms 1-6, force components in eV/Å:
-2.0222 0.9870 -1.4499
-1.7719 0.2309 0.2970
5.2571 -0.5042 -0.7964
-1.4386 0.2825 -0.2064
-4.3508 2.4545 -1.6900
2.0646 -1.9588 0.4530

---

(2)
Density functional theory data (ωB97M-V/def2-TZVPD) for an isolated molecule of C7H14N2 at a distorted geometry.

The value obtained for the energy relative to the best compared isomer or geometry (same formula, charge and spin) is 301.5 kJ/mol. Its net charge is 0. Its orbital gap (spin up / spin down) is 7.902 / 6.022 eV. The LUMO energy (spin up / spin down) is 0.938 / 0.555 eV. The calculation puts the largest force on an atom at 1.03 eV/A.

Positions of all 23 atoms, in Å:
C 0.28041 -1.52778 -0.07295
C -0.63788 0.28794 2.28584
C 2.09096 0.26960 -0.48479
C -1.23331 -1.02750 -2.18143
C -0.01716 0.64078 0.92955
C 1.05203 -0.31130 0.43862
C -0.74793 -0.76040 -0.80257
N 0.40478 2.01161 0.95285
N -1.07378 0.39708 -0.18775
H 0.72715 2.32709 0.04712
H -0.32150 2.63490 1.28349
H -2.03295 0.74411 -0.21983
H 0.86398 -2.17248 -0.73236
H -0.14363 -2.16378 0.71923
H 0.09085 0.47928 3.07083
H -1.52829 0.89510 2.48260
H -0.92830 -0.76093 2.32524
H 2.76386 0.93826 0.05743
H 2.71138 -0.52455 -0.90587
H 1.70193 0.86019 -1.34674
H -2.17881 -0.51652 -2.37983
H -0.50274 -0.62603 -2.89808
H -1.34106 -2.09466 -2.38061

Atoms 1-6, force components in eV/Å:
0.1786 0.0098 0.1334
0.1607 0.0150 -0.0899
0.1409 0.0262 -0.0057
0.1714 0.0145 0.0006
-0.9665 0.1800 -0.3096
-0.3848 -0.0491 -0.4423

---

(3)
Density functional theory data (ωB97M-V/def2-TZVPD) for a cluster of 2 separate species, C9H14 in total at a distorted geometry.

The value obtained for the energy relative to the best compared isomer or geometry (same formula, charge and spin) is 55.3 kJ/mol. Its net charge is 0. Its orbital gap is 9.954 eV. The LUMO energy is 1.040 eV. The calculation puts the largest force on an atom at 1.29 eV/A.

Positions of all 23 atoms, in Å:
C -1.67044 3.21429 -1.50735
C -0.75391 2.13621 -1.00202
C -0.97267 1.52141 0.23349
C 0.02065 0.77969 0.84430
C 1.24255 0.67025 0.18718
C 1.41692 1.16982 -1.08477
C 0.39071 1.85617 -1.73778
H -2.00731 3.06387 -2.53347
H -1.14741 4.17014 -1.46010
H -2.54922 3.31423 -0.86548
H -2.01036 1.52773 0.54064
H -0.16228 0.23096 1.75648
H 2.10202 0.28423 0.72330
H 2.35030 1.05002 -1.62418
H 0.48352 2.06270 -2.79587
C -0.02085 -3.96215 1.12931
C 0.88682 -2.78140 1.49169
H -0.48029 -3.77079 0.15364
H 0.46283 -4.93732 1.03820
H -0.86908 -4.06010 1.79732
H 1.49834 -2.59229 0.63190
H 0.22890 -1.96796 1.75643
H 1.56027 -2.97970 2.32712

Atoms 1-6, force components in eV/Å:
-0.5882 -0.1374 0.1669
0.0446 0.4595 -0.5972
-0.2875 -0.1411 -0.7285
-0.1010 -0.1463 -0.5803
0.5674 0.2865 0.7804
-0.1301 0.1693 -0.8416


1.
# C54H68As4CrN3O2P

C54H68As4CrN3O2P as an isolated structure (wB97M-V/def2-TZVPD, the OMol25 dataset).

Geometry (Å):
As1 2.0374 -0.8554 3.5783
As2 -3.2468 -0.1420 0.0540
As3 -0.9593 2.0506 1.1239
As4 -5.9869 2.3357 3.3513
Cr1 -0.7322 0.0688 -0.6067
P1 1.7294 0.5402 -1.2364
O1 -0.2924 -1.2862 0.8382
O2 1.3981 -0.1922 2.1543
N1 1.2912 1.8750 -2.2189
********
**Response**
(1)
Density functional theory data (ωB97M-V/def2-TZVPD) for a structure of composition C6H8N2O at a distorted geometry.

The value obtained for the energy relative to the best compared isomer or geometry (same formula, charge and spin) is 357.5 kJ/mol. Its net charge is 0. Its orbital gap is 9.317 eV. The LUMO energy is 0.802 eV. The calculation puts the largest force on an atom at 5.67 eV/A.

Positions of all 17 atoms, in Å:
C -2.80784 -0.33753 0.59455
C -2.69200 -0.13541 -0.81646
C -0.76310 -0.03587 0.19298
C 1.90883 -0.24275 -1.07300
C 1.21018 -0.19485 0.26737
C 1.83181 0.58845 1.36624
N -1.58444 -0.23650 1.15174
N -1.34737 0.01588 -1.03980
O 1.60946 -1.36076 -0.24027
H -3.71830 -0.39574 1.28976
H -3.42360 0.12702 -1.65093
H 1.36486 -0.25958 -2.05202
H 2.95005 0.07360 -1.11022
H 1.64995 0.24927 2.37220
H 1.65776 1.60193 1.19212
H 2.94533 0.49169 1.33473
H -0.79158 0.05116 -1.77898

Atoms 1-6, force components in eV/Å:
-2.0222 0.9870 -1.4499
-1.7719 0.2309 0.2970
5.2571 -0.5042 -0.7964
-1.4386 0.2825 -0.2064
-4.3508 2.4545 -1.6900
2.0646 -1.9588 0.4530

---

(2)
Density functional theory data (ωB97M-V/def2-TZVPD) for an isolated molecule of C7H14N2 at a distorted geometry.

The value obtained for the energy relative to the best compared isomer or geometry (same formula, charge and spin) is 301.5 kJ/mol. Its net charge is 0. Its orbital gap (spin up / spin down) is 7.902 / 6.022 eV. The LUMO energy (spin up / spin down) is 0.938 / 0.555 eV. The calculation puts the largest force on an atom at 1.03 eV/A.

Positions of all 23 atoms, in Å:
C 0.28041 -1.52778 -0.07295
C -0.63788 0.28794 2.28584
C 2.09096 0.26960 -0.48479
C -1.23331 -1.02750 -2.18143
C -0.01716 0.64078 0.92955
C 1.05203 -0.31130 0.43862
C -0.74793 -0.76040 -0.80257
N 0.40478 2.01161 0.95285
N -1.07378 0.39708 -0.18775
H 0.72715 2.32709 0.04712
H -0.32150 2.63490 1.28349
H -2.03295 0.74411 -0.21983
H 0.86398 -2.17248 -0.73236
H -0.14363 -2.16378 0.71923
H 0.09085 0.47928 3.07083
H -1.52829 0.89510 2.48260
H -0.92830 -0.76093 2.32524
H 2.76386 0.93826 0.05743
H 2.71138 -0.52455 -0.90587
H 1.70193 0.86019 -1.34674
H -2.17881 -0.51652 -2.37983
H -0.50274 -0.62603 -2.89808
H -1.34106 -2.09466 -2.38061

Atoms 1-6, force components in eV/Å:
0.1786 0.0098 0.1334
0.1607 0.0150 -0.0899
0.1409 0.0262 -0.0057
0.1714 0.0145 0.0006
-0.9665 0.1800 -0.3096
-0.3848 -0.0491 -0.4423

---

(3)
Density functional theory data (ωB97M-V/def2-TZVPD) for a cluster of 2 separate species, C9H14 in total at a distorted geometry.

The value obtained for the energy relative to the best compared isomer or geometry (same formula, charge and spin) is 55.3 kJ/mol. Its net charge is 0. Its orbital gap is 9.954 eV. The LUMO energy is 1.040 eV. The calculation puts the largest force on an atom at 1.29 eV/A.

Positions of all 23 atoms, in Å:
C -1.67044 3.21429 -1.50735
C -0.75391 2.13621 -1.00202
C -0.97267 1.52141 0.23349
C 0.02065 0.77969 0.84430
C 1.24255 0.67025 0.18718
C 1.41692 1.16982 -1.08477
C 0.39071 1.85617 -1.73778
H -2.00731 3.06387 -2.53347
H -1.14741 4.17014 -1.46010
H -2.54922 3.31423 -0.86548
H -2.01036 1.52773 0.54064
H -0.16228 0.23096 1.75648
H 2.10202 0.28423 0.72330
H 2.35030 1.05002 -1.62418
H 0.48352 2.06270 -2.79587
C -0.02085 -3.96215 1.12931
C 0.88682 -2.78140 1.49169
H -0.48029 -3.77079 0.15364
H 0.46283 -4.93732 1.03820
H -0.86908 -4.06010 1.79732
H 1.49834 -2.59229 0.63190
H 0.22890 -1.96796 1.75643
H 1.56027 -2.97970 2.32712

Atoms 1-6, force components in eV/Å:
-0.5882 -0.1374 0.1669
0.0446 0.4595 -0.5972
-0.2875 -0.1411 -0.7285
-0.1010 -0.1463 -0.5803
0.5674 0.2865 0.7804
-0.1301 0.1693 -0.8416


1.
# C54H68As4CrN3O2P

C54H68As4CrN3O2P as an isolated structure (wB97M-V/def2-TZVPD, the OMol25 dataset).

Geometry (Å):
As1 2.0374 -0.8554 3.5783
As2 -3.2468 -0.1420 0.0540
As3 -0.9593 2.0506 1.1239
As4 -5.9869 2.3357 3.3513
Cr1 -0.7322 0.0688 -0.6067
P1 1.7294 0.5402 -1.2364
O1 -0.2924 -1.2862 0.8382
O2 1.3981 -0.1922 2.1543
N1 1.2912 1.8750 -2.2189